********
[1]
4
Lattice="3.184 0.000 0.000 0.000 3.184 0.000 0.000 0.000 8.629" Properties=species:S:1:pos:R:3 comment="SrTlRe2 | the Alexandria database | GGA-PBE | relaxed" ef_kj_per_mol_atoms=37.3 relative_energy_mev_per_atom=0.0 density_g_cm3=12.6 dos_at_fermi_per_ev_fu=2.57 pbc="T T T"
Sr 0.000 0.000 0.000
Tl 1.592 1.592 2.710
Re 0.000 0.000 4.932
Re 1.592 1.592 6.175


[2]
19
Lattice="4.741 2.737 4.727 -4.741 2.737 4.727 0.000 -5.474 4.727" Properties=species:S:1:pos:R:3 comment="Ce2Al5Au12 | the Alexandria database | GGA-PBE | relaxed" ef_kj_per_mol_atoms=-41.5 density_g_cm3=12.5 dos_at_fermi_per_ev_fu=19.14 pbc="T T T"
Ce 0.000 0.000 2.264
Ce 0.000 0.000 11.915
Al -2.370 -1.368 4.727
Al 0.000 0.000 5.784
Al -2.370 1.368 9.453
Al 0.000 2.737 4.727
Al 0.000 0.000 8.396
Au 0.000 -2.468 4.527
Au -2.137 1.234 4.527
Au -1.449 -2.509 7.090
Au -2.897 0.000 7.090
Au -2.137 -1.234 9.653
Au 1.449 -2.509 7.090
Au -1.449 2.509 7.090
Au 2.137 1.234 4.527
Au 2.897 0.000 7.090
Au 1.449 2.509 7.090
Au 2.137 -1.234 9.653
Au 0.000 2.468 9.653


[3]
8
Lattice="-3.549 3.549 5.322 3.549 -3.549 5.322 3.549 3.549 -5.322" Properties=species:S:1:pos:R:3 comment="ReBiTe2 | the Alexandria database | GGA-PBE | relaxed" raw_formation_energy_ev_per_atom=0.6552 density_g_cm3=8.1 dos_at_fermi_per_ev_fu=3.38 pbc="T T T"
Re 0.000 0.000 0.000
Re 0.000 3.549 2.661
Bi 3.549 0.000 2.661
Bi 0.000 0.000 5.322
Te 5.323 1.289 -1.331
Te 1.289 1.774 1.331
Te -1.774 2.259 3.992
Te 2.259 1.774 6.653


For each record above, in turn, the calculated DFT total energy values are -27.399; -78.072; -39.983 eV per cell.

=====

# 1
Below is Ga3HgMo after structural relaxation, with properties calculated at the PBE level.

## Properties
Space group = Pm-3m, No. 221
Volume = 124.39 Å³/cell
Total magnetization = 0.000 μB/atom
Distance to the lowest polymorph of the same formula = 0 meV per atom
Fermi-level density of states = 4.254 states/eV/cell

Cell and atoms, written as CIF:
```
data_Ga3HgMo
_cell_length_a 4.992
_cell_length_b 4.992
_cell_length_c 4.992
_cell_angle_alpha 90.00
_cell_angle_beta 90.00
_cell_angle_gamma 90.00
_space_group_name_H-M_alt 'P 1'
_space_group_IT_number 1
loop_
_space_group_symop_operation_xyz
'x,y,z'
loop_
_atom_site_label
_atom_site_fract_x
_atom_site_fract_y
_atom_site_fract_z
Mo1 0.000 0.000 0.000
Hg1 0.500 0.500 0.500
Ga1 0.000 0.500 0.000
Ga2 0.000 0.000 0.500
Ga3 0.500 0.000 0.000
```

=====

# 2
Below is Tb12ErNi6 after structural relaxation, with properties calculated at the PBE level.

## Properties
Total energy = -5.222 eV per atom
Space group = Im-3, No. 204
Volume = 480.92 Å³/cell
Total magnetization = 0.000 μB/atom
Fermi-level density of states = 24.907 states/eV/cell

Cell and atoms, written as CIF:
```
data_Tb12ErNi6
_cell_length_a 8.549
_cell_length_b 8.549
_cell_length_c 8.549
_cell_angle_alpha 109.47
_cell_angle_beta 109.47
_cell_angle_gamma 109.47
_space_group_name_H-M_alt 'P 1'
_space_group_IT_number 1
loop_
_space_group_symop_operation_xyz
'x,y,z'
loop_
_atom_site_label
_atom_site_fract_x
_atom_site_fract_y
_atom_site_fract_z
Tb1 0.311 0.127 0.816
Tb2 0.311 0.495 0.184
Tb3 0.689 0.505 0.816
Tb4 0.689 0.873 0.184
Tb5 0.127 0.816 0.311
Tb6 0.495 0.184 0.311
Tb7 0.505 0.816 0.689
Tb8 0.873 0.184 0.689
Tb9 0.816 0.311 0.127
Tb10 0.184 0.311 0.495
Tb11 0.816 0.689 0.505
Tb12 0.184 0.689 0.873
Er1 0.000 0.000 0.000
Ni1 0.377 0.500 0.877
Ni2 0.623 0.500 0.123
Ni3 0.500 0.877 0.377
Ni4 0.500 0.123 0.623
Ni5 0.877 0.377 0.500
Ni6 0.123 0.623 0.500
```

=====

# 3
Below is K2SrCl4 after structural relaxation, with properties calculated at the PBE level.

## Properties
Space group = Pbam, No. 55
Volume = 460.84 Å³/cell
Total magnetization = 0.000 μB/atom
Distance to the lowest polymorph of the same formula = 0 meV per atom
Fermi-level density of states = 0.000 states/eV/cell
Formation energy (no corrections) = -2.19 eV per atom

Cell and atoms, written as CIF:
```
data_K2SrCl4
_cell_length_a 4.475
_cell_length_b 7.798
_cell_length_c 13.207
********
The reader should filter the listing earlier on: keep the lines with the word "Ni2".
Ni2 0.623 0.500 0.123